Monday, August 13, 2007


A quiet spot is required.

Open ears are required.

An open mind is required.

An open heart is required.

# What comes next are calculated molecules, not part of the piece
........
{"formula": "C66H56F5NO21S", "method": "ωB97M-V/def2-TZVPD", "molar_mass_g_mol": 1326.22, "fmax_ev_per_a": 0.689, "smiles": "O=C(CCCC(F)(F)C(F)(F)F)O[C@@](S)(CCCNCc1ccccc1O)COO.O=C1C=CC(=O)C=C1.O=C1C=CC(=O)C=C1.O=C1C=CC(=O)C=C1.O=C1C=CC(=O)C=C1.O=C1C=CC(=O)C=C1.O=C1C=CC(=O)C=C1.O=C1C=CC(=O)C=C1.O=C1C=CC(=O)C=C1", "gap_ev": 6.6, "elements": ["O", "C", "C", "C", "C", "C", "F", "F", "C", "F", "F", "F", "O", "C", "S", "C", "C", "C", "N", "C", "C", "C", "C", "C", "C", "C", "O", "C", "O", "O", "H", "H", "H", "H", "H", "H", "H", "H", "H", "H", "H", "H", "H", "H", "H", "H", "H", "H", "H", "H", "H", "H", "H", "H", "C", "C", "C", "O", "C", "C", "C", "O", "H", "H", "H", "H", "C", "C", "C", "O", "C", "C", "C", "O", "H", "H", "H", "H", "C", "C", "C", "O", "C", "C", "C", "O", "H", "H", "H", "H", "C", "C", "C", "O", "C", "C", "C", "O", "H", "H", "H", "H", "C", "C", "C", "O", "C", "C", "C", "O", "H", "H", "H", "H", "C", "C", "C", "O", "C", "C", "C", "O", "H", "H", "H", "H", "C", "C", "C", "O", "C", "C", "C", "O", "H", "H", "H", "H", "C", "C", "C", "O", "C", "C", "C", "O", "H", "H", "H", "H"], "positions_angstrom": [[-2.05716, 0.79001, 4.61864], [-2.98598, 0.69971, 3.88227], [-4.17317, 1.62379, 3.88602], [-4.31935, 2.33043, 2.52424], [-4.97318, 3.71215, 2.64693], [-4.46130, 4.72494, 1.63848], [-4.79974, 5.97972, 2.03980], [-3.09923, 4.67608, 1.59088], [-4.99556, 4.54996, 0.17521], [-5.98840, 5.41958, -0.07430], [-4.02017, 4.74131, -0.72756], [-5.48783, 3.30663, -0.00199], [-3.08215, -0.22061, 2.85962], [-2.78096, -1.60844, 3.08038], [-3.11228, -2.05658, 4.83471], [-3.70375, -2.46220, 2.16809], [-4.64058, -1.69393, 1.23850], [-5.84883, -1.10262, 1.97182], [-6.90318, -2.09778, 2.19520], [-8.25747, -1.71903, 1.78359], [-9.00456, -0.90545, 2.82386], [-8.56180, 0.36868, 3.19845], [-9.22120, 1.12913, 4.15731], [-10.35964, 0.61750, 4.77451], [-10.81124, -0.65047, 4.43348], [-10.14027, -1.40657, 3.47258], [-10.64515, -2.65412, 3.20225], [-1.31014, -1.87401, 2.67588], [-0.46870, -0.77513, 2.91983], [0.43636, -1.05918, 3.98421], [-5.06925, 1.03159, 4.09329], [-4.02103, 2.34878, 4.68563], [-4.86261, 1.69927, 1.82183], [-3.31928, 2.45318, 2.10141], [-4.81301, 4.15005, 3.63388], [-6.05631, 3.64003, 2.50451], [-1.87519, -2.42861, 5.17873], [-3.07735, -3.13810, 1.58036], [-4.32318, -3.10387, 2.79917], [-4.11837, -0.92735, 0.66034], [-5.02786, -2.41508, 0.51203], [-6.23015, -0.24396, 1.41176], [-5.51013, -0.71348, 2.93751], [-6.95133, -2.30318, 3.18374], [-8.80270, -2.64979, 1.62064], [-8.21020, -1.18404, 0.83373], [-7.68855, 0.78621, 2.70796], [-8.84749, 2.11576, 4.40160], [-10.87641, 1.19861, 5.52840], [-11.68226, -1.08377, 4.90986], [-9.92946, -3.29853, 3.27214], [-1.27174, -2.07243, 1.59932], [-0.93889, -2.76283, 3.18823], [-0.09370, -0.85763, 4.77411], [-8.21197, -5.43119, 6.10874], [-7.71333, -6.50629, 6.71231], [-6.60952, -7.29193, 6.10043], [-6.15692, -8.27068, 6.65011], [-6.08274, -6.83034, 4.78991], [-6.58148, -5.75518, 4.18660], [-7.68330, -4.97651, 4.80099], [-8.12856, -3.99115, 4.24702], [-9.01428, -4.84011, 6.53201], [-8.07827, -6.86162, 7.66740], [-5.27867, -7.41808, 4.36596], [-6.21890, -5.39293, 3.23226], [1.02122, 4.14773, 2.08646], [-0.11750, 4.55971, 2.63786], [-0.16264, 5.03834, 4.04139], [-1.19996, 5.40290, 4.55247], [1.11195, 5.04946, 4.80609], [2.25047, 4.64215, 4.25283], [2.29198, 4.16041, 2.84918], [3.33501, 3.79200, 2.34637], [1.07759, 3.79526, 1.06508], [-1.05500, 4.56027, 2.10374], [1.05272, 5.40422, 5.82734], [3.19206, 4.63982, 4.78729], [3.67478, 3.27410, -3.71627], [2.53423, 3.68298, -3.16890], [2.48717, 4.16718, -1.76544], [1.44584, 4.54074, -1.26838], [3.75669, 4.17815, -0.99540], [4.89584, 3.76633, -1.54516], [4.94247, 3.28594, -2.94553], [5.98374, 2.91548, -3.45093], [3.73810, 2.91538, -4.73575], [1.59495, 3.68434, -3.70692], [3.69585, 4.52452, 0.02815], [5.83399, 3.76132, -1.00542], [2.55122, 0.61390, 7.17175], [3.02593, 1.67408, 7.81927], [2.13895, 2.53362, 8.64441], [2.56983, 3.50123, 9.23171], [0.70156, 2.16429, 8.71915], [0.22694, 1.10466, 8.07081], [1.11651, 0.24877, 7.24995], [0.68806, -0.71688, 6.65217], [3.17228, -0.02617, 6.55838], [4.06776, 1.96507, 7.77783], [0.07550, 2.80761, 9.32397], [-0.81644, 0.81803, 8.10320], [8.64570, 0.87850, -5.15892], [7.40450, 0.46194, -4.92224], [6.95113, -0.87478, -5.37567], [5.81678, -1.25588, -5.16838], [7.92625, -1.73264, -6.09532], [9.16629, -1.31394, -6.32928], [9.62137, 0.02627, -5.87843], [10.75507, 0.40255, -6.09406], [8.99929, 1.85033, -4.83811], [6.68358, 1.07563, -4.39651], [7.56905, -2.70362, -6.41443], [9.89790, -1.91623, -6.85265], [12.99161, 2.04963, -7.64066], [12.95442, 2.87388, -6.59767], [13.93357, 3.97877, -6.45231], [13.90222, 4.73167, -5.50255], [14.95954, 4.13039, -7.51665], [14.99879, 3.30583, -8.55923], [14.01650, 2.20003, -8.70343], [14.05378, 1.45119, -9.65607], [12.28888, 1.23615, -7.75640], [12.21653, 2.77418, -5.81236], [15.66244, 4.94374, -7.38814], [15.73633, 3.39457, -9.34679], [1.68080, -5.75235, -5.01797], [1.63872, -4.92153, -3.98030], [2.62264, -3.81515, -3.83846], [2.57896, -3.06130, -2.89163], [3.65412, -3.67038, -4.89847], [3.69087, -4.50494, -5.93468], [2.71091, -5.60716, -6.07735], [2.73796, -6.35811, -7.03092], [0.97603, -6.56479, -5.14573], [0.89689, -5.00385, -3.19608], [4.36278, -2.86006, -4.78367], [4.42862, -4.41975, -6.72312], [0.52337, -1.47018, -9.50073], [-0.51463, -1.38227, -8.67372], [-0.86247, -2.49382, -7.75186], [-1.80736, -2.41311, -6.99748], [-0.00786, -3.70660, -7.79129], [1.03009, -3.79645, -8.61842], [1.38071, -2.68325, -9.53700], [2.33105, -2.75810, -10.28433], [0.79723, -0.67347, -10.18065], [-1.15257, -0.50882, -8.62777], [-0.28122, -4.50419, -7.11144], [1.66411, -4.67392, -8.66029]], "atomic_forces_ev_per_a": [[0.37, -0.13, 0.50], [-0.09, 0.02, -0.63], [-0.07, 0.09, -0.33], [0.31, 0.08, 0.02], [-0.46, -0.14, -0.26], [0.06, 0.08, 0.27], [0.12, -0.20, -0.11], [-0.28, 0.15, -0.14], [-0.01, 0.10, -0.32], [0.39, -0.42, 0.07], [-0.50, -0.04, 0.36], [0.18, 0.33, -0.02], [-0.54, 0.05, 
........

In our normal everyday lives, we listen to the radio, to the television, to the person in line at the store, to the weather forecast, to the person calling us names as they cut us off in traffic.

We listen to our children, what they want, what is hurting them, and what they find most bothersome that day.

........
[1]
This record from the OMol25 dataset describes a molecular structure, Ag2IK2N3O17Pb2S2. The level of theory is ωB97M-V/def2-TZVPD.

CARTESIAN COORDINATES (ANGSTROEM)
K  2.7505  -2.2392  -3.8716
K  -3.6334  1.2084  1.8648
Pb  1.3598  -2.4966  3.1729
Pb  -0.0072  0.0602  -0.4739
Ag  3.5386  2.1310  1.3397
Ag  -3.3021  -1.1381  -1.4445
N  -2.1899  3.0020  -1.3208
O  -2.1609  3.8242  -0.4006
O  -2.4398  3.4048  -2.4457
O  -1.9586  1.7520  -1.0331
N  0.2404  1.6422  2.6668
O  0.4676  1.2598  1.5109
O  -0.7683  2.3027  2.7778
O  0.9538  1.2115  3.5841
N  2.1870  1.6856  -1.7983
O  2.5708  1.4732  -0.6167
O  1.0072  1.6607  -2.1230
O  2.9781  1.8045  -2.6999
S  -1.9353  -1.6578  1.5157
O  -0.5221  -1.7615  1.9676
O  -2.2198  -3.0244  0.9884
O  -2.7647  -1.2652  2.6421
O  -2.0062  -0.5388  0.5068
S  1.7976  -2.6381  -0.5285
O  3.0536  -3.2778  -0.8268
O  1.6892  -1.3825  -1.3052
O  0.7409  -3.5826  -0.7611
O  1.7744  -2.4144  0.9597
I  -1.2009  -1.0055  -3.8476

Its HOMO energy is -7.58 eV. As for the total energy: -120183.9697 eV. Its frontier orbital gap is 0.1818 Eh. The LUMO energy is -2.637 eV.



[2]
This record from the OMol25 dataset describes a molecular structure, AlBH8O2. The level of theory is ωB97M-V/def2-TZVPD.

CARTESIAN COORDINATES (ANGSTROEM)
Al  0.4175  -0.2098  -0.2416
B  1.6168  0.9095  1.6053
H  1.8117  1.2615  0.6042
H  2.2700  1.4134  2.3008
H  0.5975  1.1827  1.8301
H  1.6760  -0.1667  1.5548
O  -1.7023  0.1970  -0.4583
H  -2.2864  0.8466  -0.0671
H  -2.2743  -0.5380  -0.6791
O  -0.5572  -1.4228  -1.8567
H  -1.4822  -1.5699  -2.0542
H  -0.0870  -1.9034  -2.5381

Its HOMO energy is -20.84 eV. As for the total energy: -11473.8699 eV. The total charge is +2. Its frontier orbital gap is 0.2594 Eh. The LUMO energy is -13.778 eV.



[3]
This record from the OMol25 dataset describes a molecular structure, AlBrFH4MgNO2P. The level of theory is ωB97M-V/def2-TZVPD.

CARTESIAN COORDINATES (ANGSTROEM)
N  0.8396  -0.4778  2.0183
P  0.1553  -1.0023  0.6780
O  -1.5029  -0.9834  0.9029
O  0.6070  -2.5670  0.3494
Al  0.7206  0.4835  -1.0377
F  0.7031  -0.3919  -2.6035
Br  -0.9196  2.2705  -1.1826
H  1.3872  0.3594  1.7873
H  -1.7344  -0.3148  1.5555
H  0.2382  -2.8050  -0.5172
H  2.1457  1.1170  -0.8176
Mg  -2.6400  4.3118  -1.1330

Its HOMO energy is -11.82 eV. As for the total energy: -99734.3675 eV. The total charge is +1. Its frontier orbital gap is 0.1022 Eh. The LUMO energy is -9.042 eV.



[4]
This record from the OMol25 dataset describes a molecular structure, AlFHMgNO3S2. The level of theory is ωB97M-V/def2-TZVPD.

CARTESIAN COORDINATES (ANGSTROEM)
Mg  1.0113  3.2162  0.2371
N  0.0230  0.3643  -1.0252
S  0.1331  1.9489  -1.8162
S  0.9794  0.0597  0.1685
O  -0.2453  -1.4577  0.8619
O  1.4245  1.2823  0.9159
F  2.4335  -0.4275  -0.4850
Al  -1.2762  -0.9641  -0.6101
O  -2.0231  -2.1423  0.4686
H  -2.4602  -1.8797  1.2845
........

Sometimes we listen to our parents (as we get older, we seem to value their hidden wisdom much more), sometimes listen to the youth leader or pastor.

Very rarely though, do we listen to God. Rarely I say because we always "hear" God and we always "see" God. We see Him in the world around, we see Him working in lives around us and we see Him when he works in our lives.

We hear Him when he asks us to do something, when He tells us to stop doing something, when He desires us to serve Him.

Yet though we hear Him, we do not listen. Listening would require that we fully acknowledge Him, His wishes, His plan, His desires, His likes and dislikes of our current state of living. Ultimately it would require that we most likely need to change something about ourselves, do something more for Him or stop doing something for Him. It could be more drastic, such as moving away, becoming a missionary half-way around the world or standing in front of 30 people teaching and leading a Sunday School class, or a small group.

Listening to God requires (as stated earlier):

A quiet place: We must block out all the maelstrom of life (see, 2nd definition) and find a quiet place in which we can focus on God and God alone. We can listen to Him in this small quiet and find out truly what He desires for us to be, to do, to not do and most of all, how He desires to use us for His glory.

Open ears: We must open our spiritual ears to listen to God. This means being willing to hear the voice in the small quiet that we have attained. You must hear the voice, before you can listen to the voice.

What comes next are calculated molecules, not part of the article:
┌──
No. 1
{
  "formula": "C14H7BrNO7Pt",
  "method": "ωB97M-V with the def2-TZVPD basis set",
  "symbols": ["Pt", "O", "C", "C", "C", "N", "C", "C", "C", "O", "O", "C", "O", "O", "H", "H", "H", "Br", "C", "C", "C", "C", "C", "C", "C", "O", "O", "H", "H", "H", "H"],
  "positions_angstrom": [[0.7448, -0.0794, -0.2861], [1.3159, 5.7674, 0.1745], [1.1586, 4.4563, 0.1181], [0.2852, 3.7522, 0.9645], [0.2001, 2.3936, 0.8233], [0.9489, 1.7961, -0.1090], [1.8009, 2.4215, -0.9341], [1.9331, 3.7755, -0.8429], [2.5340, 1.4576, -1.8278], [3.3448, 1.7582, -2.6356], [2.1862, 0.1567, -1.5692], [-0.6147, 1.4214, 1.6458], [-1.4224, 1.7497, 2.4529], [-0.2904, 0.1331, 1.3991], [0.7644, 6.1762, 0.8558], [-0.3210, 4.2368, 1.7201], [2.6224, 4.2999, -1.4912], [-0.1323, -6.7822, 0.4682], [-0.6876, -5.0128, 0.2405], [0.2777, -4.0153, 0.1133], [-0.1832, -2.7336, -0.0657], [-1.5209, -2.3910, -0.1281], [-2.4615, -3.4040, 0.0191], [-2.0426, -4.7119, 0.1968], [-1.9459, -1.0015, -0.3886], [-3.0771, -0.6173, -0.2481], [-1.0721, -0.1381, -0.9518], [1.3312, -4.2486, 0.1545], [0.6078, -1.9518, -0.1553], [-3.5144, -3.1600, -0.0134], [-2.7697, -5.5047, 0.3005]],
  "lumo_ev": -7.20,
  "homo_energy_ev": -12.50,
  "homo_lumo_gap_ha": 0.1950,
  "total_charge": 1,
  "energy_ha": -3812.123357
}

No. 2
{
  "formula": "C6H5NO",
  "method": "ωB97M-V with the def2-TZVPD basis set",
  "symbols": ["C", "C", "C", "C", "C", "O", "C", "N", "H", "H", "H", "H", "H"],
  "positions_angstrom": [[2.4064, -1.1099, -0.8203], [1.3514, -0.6390, -1.2050], [0.0861, -0.2840, -1.8045], [-0.9471, 0.1395, -1.0374], [-1.0074, -0.0380, 0.5777], [-0.0885, -1.1083, 0.9148], [-0.8516, 1.1864, 1.4232], [-0.8438, 2.2609, 1.9318], [3.2735, -1.6871, -0.3392], [0.1335, -0.2440, -2.9275], [-1.7430, 0.7664, -1.6794], [-2.0074, -0.3637, 0.7409], [0.7297, -0.9616, 0.5618]],
  "smiles": "C#C/C=C\\[C@@H](O)C#N",
  "lumo_ev": 0.12,
  "homo_energy_ev": -9.90,
  "homo_lumo_gap_ha": 0.3681,
  "total_charge": 0,
  "energy_ha": -361.466804,
  "relative_energy_ev": 3.195
}

No. 3
{
  "formula": "C46H58CuN2O3P2Se",
  "method": "ωB97M-V with the def2-TZVPD basis set",
  "symbols": ["Cu", "C", "O", "C", "C", "O", "C", "C", "O", "C", "H", "H", "H", "H", "H", "H", "H", "H", "H", "H", "H", "H", "H", "H", "C", "C", "C", "C", "N", "C", "Se", "N", "C", "C", "C", "C", "C", "C", "C", "C", "C", "C", "H", "H", "H", "H", "H", "H", "H", "H", "H", "H", "H", "H", "H", "H", "H", "H", "H", "H", "H", "H", "H", "H", "C", "P", "C", "C", "C", "C", "C", "C", "C", "C", "C", "C", "C", "C", "P", "C", "C", "C", "C", "C", "C", "C", "C", "C", "C", "C", "C", "H", "H", "H", "H", "H", "H", "H", "H", "H", "H", "H", "H", "H", "H", "H", "H", "H", "H", "H", "H", "H", "H"],
└──
End of the calculated molecules:

Open mind: We must have our mind open, for it is the tool of Satan to plant thoughts of fear, thoughts of doubt, and thoughts that are misleading in general. Satan seeks to devour us, even if we are a saved Christian, he will stop at nothing to destroy our walk with God, destroy our testimony to Christ and see us fail to be that which the Lord desires us to be. Satan wishes to destroy our testimony so that others will fall by the wayside. Having an open mind is paramount to being able to listen to God. We must block out the wiles of the devil and place God alone in our thoughts to be able to listen fully with understanding and willingness to be led by the Lord.

Open heart: We must understand that God will ask us to do things that are not easy, are not fun and are not glorious to ourselves. However, with the open heart that is required to truly listen to God, we can understand that it is for Him and His will that we are listening, and thus we can have grace, strength and wisdom to accomplish all things through Christ. We can understand that His calling is so far above any other that there is truly no comparison and that His blessings will far outweigh the temporary pleasures of the Earth.

With all four of these items present, we can truly listen to God, His will for our lives, and we can do so understanding that it is not about our needs, our desires and wants, but about His kingdom, His glory and His desires and wants for our lives. We can understand what He requires of us, and we can accomplish it with the necessary grace, strength, wisdom, compassion, understanding and peace knowing that He is standing there with us, guiding us and keeping us from falling on our face, if we are truly listening to His guidance.